Safe Arrival

Safe Arrival Student Absence Reporting System
Posted on 10/10/2024
Safe Arrival

### Unrelated to this piece: calculated molecules
┌──
Below is 2 unconnected molecules or ions with the total composition C7H14, with properties calculated with the ωB97M-V functional and the def2-TZVPD basis.

The geometry in XYZ format:
```
21
Properties=species:S:1:pos:R:3:forces:R:3:mulliken_charge:R:1
C 2.108413 0.376969 -0.730873 -0.0346 -0.0069 0.1232 -0.849
C 1.760639 -0.296861 0.360513 0.0490 0.1855 -0.1823 -0.204
C 0.813004 0.171878 1.443271 -0.0120 -0.0089 0.0419 -0.476
C -0.419083 0.994414 1.025230 0.0305 0.1022 -0.0190 -0.595
C -1.615799 0.188429 0.497695 0.0143 -0.0241 0.0334 -0.405
C -1.581351 -0.284403 -0.937099 0.0355 0.0732 -0.1902 -0.437
C -0.940962 0.278617 -1.956649 -0.0996 -0.0493 0.1504 -0.579
H 2.816192 -0.038958 -1.442668 -0.0735 0.0686 0.1238 0.249
H 1.696446 1.357230 -0.975174 0.1108 -0.2437 0.1183 0.284
H 2.221177 -1.268734 0.530117 -0.0287 0.1190 -0.0210 0.381
H 0.475429 -0.698542 2.021400 0.0203 0.1168 -0.1111 0.272
H 1.402620 0.773586 2.149910 -0.0831 -0.0793 -0.0817 0.327
H -0.764767 1.528368 1.919050 0.0619 -0.0396 -0.1403 0.316
H -0.133770 1.772327 0.306306 -0.0363 -0.0939 0.1029 0.287
H -1.760371 -0.684552 1.148921 0.0240 0.1092 -0.0978 0.286
H -2.527122 0.792590 0.620824 0.1285 -0.0922 -0.0134 0.336
H -2.182830 -1.171986 -1.138419 0.0683 0.1239 0.0051 0.397
H -0.989143 -0.145756 -2.955400 -0.0655 0.0626 0.1343 0.255
H -0.328884 1.168137 -1.840427 -0.1070 -0.1416 0.0031 0.137
H 0.097280 -2.627766 0.249104 -0.0512 -0.0860 -0.0109 0.237
H -0.147119 -2.184987 -0.295632 0.0484 -0.0954 0.0313 -0.220
```
Positions in Å, forces in eV/Å.

As for the multiplicity: 1. Its HOMO-LUMO gap is 10.288 eV. The relative energy (zero: lowest compared OMol25 entry of this formula, charge and spin) is 2.607 eV. For the lowest unoccupied orbital energy, the calculation gives 1.230 eV.


Below is 2 unconnected molecules or ions with the total composition C4H12NO, with properties calculated with the ωB97M-V functional and the def2-TZVPD basis.

The geometry in XYZ format:
```
18
Properties=species:S:1:pos:R:3:forces:R:3:mulliken_charge:R:1
C -1.482039 0.461588 -1.876749 0.9826 -0.3969 0.3368 -1.078
C -0.955721 1.032671 -0.511857 -1.4124 -0.3870 0.5567 -0.414
C -0.160283 -0.025068 0.358410 -1.3095 1.2881 0.3209 -0.432
C 0.742365 -0.269010 2.719841 -1.6053 0.7588 -3.8822 -0.131
N 0.175223 0.482139 1.753850 1.8809 -0.3253 4.4594 -0.060
H -2.156916 1.208015 -2.311782 0.3303 -0.2112 -0.0383 0.360
H -0.586079 0.327772 -2.502120 -0.6675 -0.1481 -0.2577 0.238
H -2.059618 -0.509023 -1.803385 0.7950 1.0787 0.2094 0.315
H -0.298275 1.914726 -0.628968 -0.3886 -0.4216 -0.2885 0.350
H -1.952683 1.404214 -0.105653 1.5774 -0.5136 0.6609 0.328
H -0.708579 -0.954589 0.529324 -0.0143 0.1355 -0.1731 0.352
H 0.794076 -0.250189 -0.088856 0.0915 -0.0663 -0.2334 0.288
H 0.853928 -1.341107 2.450601 0.1077 0.7708 0.4874 0.286
H 1.110913 0.140714 3.663472 -0.4256 0.0582 -0.3366 0.281
H 0.073806 1.482456 2.125019 -0.1400 -1.4919 -1.6039 0.342
H 2.206516 -0.958460 -2.033067 0.3894 -0.0019 0.6217 0.330
└──

Regular school attendance is an important element for success in school. When a student is frequently absent, tardy, or dismissed early from school, students lose valuable instructional time. Because regular attendance is necessary for students to succeed in school, the Pennsbury School District encourages all parents and guardians to stress the importance of punctuality and regular attendance with their children. Our Student Conduct of Conduct sets forth the attendance policy for the District. Effective with the 2020-2021 school year, a child must comply with compulsory attendance requirements from age 6 to 18. 

The Pennsbury School District prioritizes the safe arrival of all students at each school each day. We are now pleased to offer an efficient student absence reporting system called Safe Arrival to support our efforts.

Safe Arrival gives parents 3 options to report an absence (directions for each option are listed below):

┌──
Below is a cluster of 2 separate species, C5H13NO2 in total in a non-equilibrium geometry, with properties calculated with wB97M-V/def2-TZVPD.

The geometry in XYZ format:
```
21
Properties=species:S:1:pos:R:3
C -2.31 -1.64 -0.63
C -1.61 -0.78 0.41
N -0.17 -0.47 0.13
C 0.45 -1.22 -0.93
C 0.33 0.75 0.47
C -0.35 1.50 1.58
O 1.34 1.20 -0.04
H -2.13 -1.30 -1.66
H -2.02 -2.69 -0.63
H -3.39 -1.56 -0.55
H -1.52 -1.46 1.22
H -2.18 0.09 0.69
H 0.25 -2.28 -0.83
H 1.53 -1.08 -0.87
H 0.24 -0.92 -1.96
H -0.60 2.48 1.17
H -1.08 1.04 2.22
H 0.44 1.88 2.24
O 4.33 2.33 -0.99
H 3.52 1.86 -0.79
H 4.93 2.27 -0.25
```

Properties
* gap between HOMO and LUMO: 10.07 eV
* maximum force: 2.043 eV Å⁻¹
* energy relative to the best compared isomer or geometry (same formula, charge and spin): 26.3 kcal/mol
* structure (SMILES): CCN(C)C(C)=O.O
* total energy: -403.53468 a.u.
* HOMO energy: -9.323 eV



Below is an isolated molecule of C5H13NO2 in a non-equilibrium geometry, with properties calculated with wB97M-V/def2-TZVPD.

The geometry in XYZ format:
```
21
Properties=species:S:1:pos:R:3
C -1.55 -1.18 1.36
C -0.97 -0.13 0.40
C -1.20 -0.58 -1.04
O -1.68 1.10 0.60
C 0.52 0.09 0.70
C 1.14 1.26 -0.06
O 2.48 0.95 -0.47
N 2.42 0.18 -1.71
H -1.45 -0.86 2.40
H -1.06 -2.15 1.24
H -2.63 -1.31 1.18
H -0.91 0.19 -1.76
H -0.65 -1.50 -1.27
H -2.27 -0.77 -1.22
H -1.68 1.30 1.55
H 1.08 -0.84 0.51
H 0.65 0.30 1.77
H 0.56 1.60 -0.93
H 1.22 2.13 0.61
H 3.05 -0.59 -1.50
H 2.92 0.80 -2.35
```

Properties
* gap between HOMO and LUMO: 10.56 eV
* maximum force: 1.027 eV Å⁻¹
* energy relative to the best compared isomer or geometry (same formula, charge and spin): 62.2 kcal/mol
* structure (SMILES): CC(C)(O)CCON
* total energy: -403.47753 a.u.
* HOMO energy: -9.658 eV



Below is a cluster of 3 separate species, C5H13NO2 in total in a non-equilibrium geometry, with properties calculated with wB97M-V/def2-TZVPD.

The geometry in XYZ format:
```
21
Properties=species:S:1:pos:R:3
C 0.85 -0.65 2.17
C 0.42 -0.45 0.92
C 0.58 -1.52 -0.08
C 0.54 -1.23 -1.55
C 0.81 -0.05 -2.09
N 0.50 0.43 -3.41
H 0.47 0.03 2.92
H 1.49 -1.46 2.51
H -0.18 0.42 0.71
H 1.40 -2.23 0.07
H -0.21 -2.30 0.11
H 0.35 -2.03 -2.25
H 1.38 0.80 -1.70
H -0.39 0.89 -3.52
H 0.83 -0.09 -4.21
O -0.41 3.09 1.48
H -0.33 3.29 0.54
H -1.11 3.09 2.14
O -2.53 0.14 2.05
H -2.88 -0.42 1.35
H -1.60 0.25 1.82
```

Properties
* gap between HOMO and LUMO: 9.63 eV
* maximum force: 2.509 eV Å⁻¹
* energy relative to the best compared isomer or geometry (same formula, charge and spin): 88.7 kcal/mol
* structure (SMILES): C=CC/C=C/N.O.O
* total energy: -403.43521 a.u.
* HOMO energy: -8.863 eV



Below is a cluster of 2 separate species, C5H13NO2 in total in a non-equilibrium geometry, with properties calculated with wB97M-V/def2-TZVPD.

The geometry in XYZ format:
```
21
Properties=species:S:1:pos:R:3
C 1.06 3.55 -1.46
N 1.03 3.18 -0.29
C 1.30 1.72 -0.09
C 0.49 1.16 1.08
C 0.14 -0.32 0.98
C -1.34 -0.46 1.15
O -1.59 -1.52 0.20
H 0.92 4.60 -1.79
└──

  • Phone
  • School Messenger App
  • SchoolMessenger Website 

This system will be available 24 hours/day, 7 days a week. Future absences can also be reported in advance. Parents/Guardians who report their child's absences using the Safe Arrival system will NOT receive a call from our automated attendance system. Additionally, parents/guardians who report their child's absences using the Safe Arrival system will NOT be required to send in an additional absence note, as the reporting system will count as the note.

Safe Arrival uses our student information system (PowerSchool) to verify all accounts, so it is important that parents/guardians use the same email address on file in PowerSchool when creating their Safe Arrival account.




  1. Download the SM Home app from the Apple App Store or Google Play Store.
  2. Create an account using the email address on file with your child's school.
  3. Select "Attendance" from the menu, and then select "Report an Absence."


  1. Log on to
  2. Create an account using the email address on file with your child's school.
  3. Select "Attendance" from the menu, and then select "Report an Absence."


  1. Call 1-866-318-3517
  2. Follow the prompts to report an absence.

(Molecular data from another source follow)
********
DFT (wB97M-V/def2-TZVPD) results for a single CH2N2P2 molecule at a distorted geometry.

Last column: Mulliken charge in e.
Positions of all 7 atoms, in Å:
C  0.891  0.615  0.084  -0.2424
N  2.154  0.922  -0.087  -0.1074
N  1.918  -2.103  0.069  -0.5508
P  3.612  0.399  0.005  0.1253
P  0.755  -1.125  -0.049  0.3008
H  0.218  1.432  0.103  0.4070
H  -0.494  -1.234  0.371  0.0675

Summary:
E_LUMO = -1.016 eV
charge = 0
orbital gap = 0.2630 Ha
HOMO energy = -8.17 eV

---

DFT (wB97M-V/def2-TZVPD) results for 2 unconnected molecules or ions with the total composition CH2N2S at a distorted geometry.

Last column: Mulliken charge in e.
Positions of all 6 atoms, in Å:
C  1.398  0.171  0.159  -0.1158
N  -0.546  -1.235  0.192  -0.4981
N  0.515  -0.634  -0.086  0.3895
S  2.989  -0.035  -0.015  -0.2777
H  0.659  1.536  0.409  0.2105
H  -0.880  -1.425  -0.819  0.2916

Summary:
E_LUMO = -1.646 eV
charge = 0
orbital gap = 0.2623 Ha
HOMO energy = -8.78 eV

---

DFT (wB97M-V/def2-TZVPD) results for a single CH2N3P molecule at a distorted geometry.

Last column: Mulliken charge in e.
Positions of all 7 atoms, in Å:
C  0.458  0.697  0.000  -0.3428
N  -0.755  1.191  0.010  0.3046
N  -1.805  0.691  0.101  -0.3661
N  -1.153  -1.445  -0.009  -0.5080
P  0.319  -1.073  0.110  0.3963
H  1.339  1.238  0.047  0.4280
H  1.597  -1.299  -0.259  0.0880

Summary:
E_LUMO = -0.939 eV
charge = 0
orbital gap = 0.3014 Ha
HOMO energy = -9.14 eV

~~~~~

# 1
{
  "formula": "C5H12O4",
  "method": "ωB97M-V/def2-TZVPD",
  "multiplicity": 2,
  "lumo_ha": [0.1185, 0.0392],
  "charge": -1,
  "gap_ev": [5.55, 3.39],
  "s_squared": 0.755,
  "relative_energy_kcal_mol": 0.0,
  "symbols": ["O", "O", "O", "O", "C", "C", "C", "C", "C", "H", "H", "H", "H", "H", "H", "H", "H", "H", "H", "H", "H"],
  "xyz": [[-2.21, 0.55, -0.42], [-0.44, -3.35, 0.72], [0.90, 2.55, 1.03], [0.27, -0.95, -0.90], [-0.77, 0.90, 0.19], [0.52, 3.86, 0.90], [0.92, -2.17, -0.88], [0.03, -0.37, 0.36], [-0.07, -3.36, -0.58], [1.32, -2.36, -1.88], [-1.12, 1.20, 1.19], [-0.91, -3.30, -1.29], [0.98, -0.17, 0.88], [-0.35, 1.47, -0.67], [1.26, 4.57, 1.36], [1.73, -2.19, -0.14], [0.56, -4.25, -0.79], [-0.54, -1.09, 0.99], [0.40, 4.19, -0.16], [-2.05, 0.18, -1.29], [-0.46, 4.09, 1.38]],
  "nbo_charge": [-0.82, -0.34, -0.99, -0.52, -0.04, -0.21, -0.04, -0.12, -0.14, 0.19, 0.22, 0.16, 0.21, 0.22, 0.09, 0.18, 0.18, 0.18, 0.08, 0.44, 0.08]
}

***

# 2
{
  "formula": "C24H32FeNO2",
  "method": "ωB97M-V/def2-TZVPD",
  "multiplicity": 5,
  "lumo_ha": [0.0950, 0.0316],
  "charge": -1,
  "gap_ev": [2.64, 2.90],
  "s_squared": 6.092,
  "symbols": ["Fe", "O", "O", "N", "C", "C", "C", "C", "C", "C", "C", "C", "C", "C", "C", "C", "C", "C", "C", "C", "C", "C", "C", "C", "C", "C", "C", "C", "H", "H", "H", "H", "H", "H", "H", "H", "H", "H", "H", "H", "H", "H", "H", "H", "H", "H", "H", "H", "H", "H", "H", "H", "H", "H", "H", "H", "H", "H", "H", "H"],
********


  • Your username and password are the same for both the mobile app and the website.
  • Options for reporting are available anytime, 24 hours a day, 7 days a week, up to the cutoff time on the day of the absence (11:45 p.m.). If you do not report your child's absence in Safe Arrival by 11:45 p.m. on the day of the absence, you will need to email the attendance office at your child's school within 3 days to report the absence.  
  • In the event of an unreported absence in Safe Arrival, the SchoolMessenger Communicate automated notification system will contact parents/guardians via email, text (if opted in to receive texts), and phone. The phone number that will appear on your caller ID is 866-318-3517. If you report your child's absence in Safe Arrival before the start of the school day, you will not receive these notifications, and you will not need to supply a note to your child's school's attendance email. (See list below)
  • Educational trips can not be reported through Safe Arrival.  Please complete the necessary forms found on the attendance webpage and obtain permission from your building principal. 


Visit our Pennsbury School District Attendance page for more information.